# File
# 1
Calculated X-ray diffraction stick pattern of Tc4W3 for Cu Kα X-rays, from a GGA-PBE-relaxed structure.
Peak positions follow from Bragg's law for the DFT cell and can differ from measured ones.

Structural model:
Unit cell a=11.244 b=11.244 c=11.244 alpha=164.01 beta=164.01 gamma=22.69
Element x y z (fractional)
1 Tc 0.068 0.068 0.000
2 Tc 0.354 0.354 0.000
3 Tc 0.646 0.646 0.000
4 Tc 0.932 0.932 0.000
5 W 0.213 0.213 0.000
6 W 0.500 0.500 0.000
7 W 0.787 0.787 0.000

Main lines, sorted by position (2θ from 10° to 90°):
2θ (°)	intensity
16.08	10
31.07	6
40.65	100
40.79	50
58.62	8
59.05	17
73.87	17
74.16	34
87.99	11
88.37	6

---

# 2
Calculated X-ray diffraction stick pattern of U2CoS5 for Cu Kα X-rays, from a GGA-PBE-relaxed structure.
Peak positions follow from Bragg's law for the DFT cell and can differ from measured ones.

Structural model:
Unit cell a=7.857 b=7.857 c=6.929 alpha=96.66 beta=96.66 gamma=44.92
Element x y z (fractional)
1 U 0.095 0.687 0.916
2 U 0.313 0.905 0.584
3 U 0.687 0.095 0.416
4 U 0.905 0.313 0.084
5 Co 0.000 0.500 0.500
6 Co 0.500 0.000 0.000
7 S 0.097 0.903 0.250
8 S 0.138 0.306 0.808
9 S 0.291 0.524 0.575
10 S 0.306 0.138 0.308
11 S 0.476 0.709 0.925
12 S 0.524 0.291 0.075
13 S 0.694 0.862 0.692
14 S 0.709 0.476 0.425
15 S 0.862 0.694 0.192
16 S 0.903 0.097 0.750

Main lines, sorted by position (2θ from 10° to 90°):
2θ (°)	intensity
21.07	73
24.72	23
25.93	100
27.31	21
28.20	19
29.77	23
35.51	20
38.40	41
41.93	30
43.17	19

---

# 3
Calculated X-ray diffraction stick pattern of Ti4AlPd3 for Cu Kα X-rays, from a GGA-PBE-relaxed structure.
Peak positions follow from Bragg's law for the DFT cell and can differ from measured ones.

Structural model:
Unit cell a=11.387 b=11.387 c=4.341 alpha=100.70 beta=100.70 gamma=13.93
Element x y z (fractional)
1 Ti 0.107 0.107 0.111
2 Ti 0.232 0.232 0.233
3 Ti 0.768 0.768 0.767
4 Ti 0.893 0.893 0.889
5 Al 0.000 0.000 0.500
6 Pd 0.346 0.346 0.343
7 Pd 0.500 0.500 0.000
8 Pd 0.654 0.654 0.657

Main lines, sorted by position (2θ from 10° to 90°):
2θ (°)	intensity
23.71	42
23.81	42
24.05	30
32.25	32
38.63	35
39.51	72
41.61	57
42.04	100
42.22	31
43.44	41

---

# 4
Calculated X-ray diffraction stick pattern of Ca2CdRuN for Cu Kα X-rays, from a GGA-PBE-relaxed structure.
Peak positions follow from Bragg's law for the DFT cell and can differ from measured ones.

Structural model:
Unit cell a=5.110 b=5.110 c=3.836 alpha=90.00 beta=90.00 gamma=90.00
Element x y z (fractional)
1 Ca 0.000 0.500 0.000
2 Ca 0.500 0.000 0.000
3 Cd 0.000 0.000 0.500
4 Ru 0.500 0.500 0.500
5 N 0.500 0.500 0.000

Main lines, sorted by position (2θ from 10° to 90°):
2θ (°)	intensity
23.19	11
24.64	30
34.09	100
35.13	55
42.51	10
47.39	11
50.52	18
60.34	21
62.36	33
71.78	12

---

# 5
Calculated X-ray diffraction stick pattern of Tm2MnAl3 for Cu Kα X-rays, from a GGA-PBE-relaxed structure.
Peak positions follow from Bragg's law for the DFT cell and can differ from measured ones.

Structural model:
Unit cell a=5.404 b=5.404 c=5.404 alpha=61.39 beta=61.39 gamma=61.39
Element x y z (fractional)
1 Tm 0.126 0.126 0.126
2 Tm 0.874 0.874 0.874
3 Mn 0.500 0.500 0.500
4 Al 0.000 0.500 0.500
5 Al 0.500 0.000 0.500
6 Al 0.500 0.500 0.000

Main lines, sorted by position (2θ from 10° to 90°):
2θ (°)	intensity
19.78	56
20.34	37
32.46	100
33.17	66
38.30	32
38.61	100
39.22	43
58.36	27
62.03	25
62.47	21

---

# 6
Calculated X-ray diffraction stick pattern of Sm2Mg5Ga4 for Cu Kα X-rays, from a GGA-PBE-relaxed structure.
Peak positions follow from Bragg's law for the DFT cell and can differ from measured ones.

Structural model:
Unit cell a=9.379 b=8.069 c=6.418 alpha=79.81 beta=57.86 gamma=42.34
Element x y z (fractional)
1 Sm 0.145 0.145 0.855
2 Sm 0.855 0.855 0.145
3 Mg 0.000 0.000 0.500
4 Mg 0.250 0.250 0.250
5 Mg 0.500 0.500 0.000
6 Mg 0.500 0.500 0.500
7 Mg 0.750 0.750 0.750
8 Ga 0.237 0.463 0.537
9 Ga 0.463 0.237 0.763
10 Ga 0.537 0.763 0.237
11 Ga 0.763 0.537 0.463

# Exercise
Could you duplicate everything further above character by character?

# Response
# 1
Calculated X-ray diffraction stick pattern of Tc4W3 for Cu Kα X-rays, from a GGA-PBE-relaxed structure.
Peak positions follow from Bragg's law for the DFT cell and can differ from measured ones.

Structural model:
Unit cell a=11.244 b=11.244 c=11.244 alpha=164.01 beta=164.01 gamma=22.69
Element x y z (fractional)
1 Tc 0.068 0.068 0.000
2 Tc 0.354 0.354 0.000
3 Tc 0.646 0.646 0.000
4 Tc 0.932 0.932 0.000
5 W 0.213 0.213 0.000
6 W 0.500 0.500 0.000
7 W 0.787 0.787 0.000

Main lines, sorted by position (2θ from 10° to 90°):
2θ (°)	intensity
16.08	10
31.07	6
40.65	100
40.79	50
58.62	8
59.05	17
73.87	17
74.16	34
87.99	11
88.37	6

---

# 2
Calculated X-ray diffraction stick pattern of U2CoS5 for Cu Kα X-rays, from a GGA-PBE-relaxed structure.
Peak positions follow from Bragg's law for the DFT cell and can differ from measured ones.

Structural model:
Unit cell a=7.857 b=7.857 c=6.929 alpha=96.66 beta=96.66 gamma=44.92
Element x y z (fractional)
1 U 0.095 0.687 0.916
2 U 0.313 0.905 0.584
3 U 0.687 0.095 0.416
4 U 0.905 0.313 0.084
5 Co 0.000 0.500 0.500
6 Co 0.500 0.000 0.000
7 S 0.097 0.903 0.250
8 S 0.138 0.306 0.808
9 S 0.291 0.524 0.575
10 S 0.306 0.138 0.308
11 S 0.476 0.709 0.925
12 S 0.524 0.291 0.075
13 S 0.694 0.862 0.692
14 S 0.709 0.476 0.425
15 S 0.862 0.694 0.192
16 S 0.903 0.097 0.750

Main lines, sorted by position (2θ from 10° to 90°):
2θ (°)	intensity
21.07	73
24.72	23
25.93	100
27.31	21
28.20	19
29.77	23
35.51	20
38.40	41
41.93	30
43.17	19

---

# 3
Calculated X-ray diffraction stick pattern of Ti4AlPd3 for Cu Kα X-rays, from a GGA-PBE-relaxed structure.
Peak positions follow from Bragg's law for the DFT cell and can differ from measured ones.

Structural model:
Unit cell a=11.387 b=11.387 c=4.341 alpha=100.70 beta=100.70 gamma=13.93
Element x y z (fractional)
1 Ti 0.107 0.107 0.111
2 Ti 0.232 0.232 0.233
3 Ti 0.768 0.768 0.767
4 Ti 0.893 0.893 0.889
5 Al 0.000 0.000 0.500
6 Pd 0.346 0.346 0.343
7 Pd 0.500 0.500 0.000
8 Pd 0.654 0.654 0.657

Main lines, sorted by position (2θ from 10° to 90°):
2θ (°)	intensity
23.71	42
23.81	42
24.05	30
32.25	32
38.63	35
39.51	72
41.61	57
42.04	100
42.22	31
43.44	41

---

# 4
Calculated X-ray diffraction stick pattern of Ca2CdRuN for Cu Kα X-rays, from a GGA-PBE-relaxed structure.
Peak positions follow from Bragg's law for the DFT cell and can differ from measured ones.

Structural model:
Unit cell a=5.110 b=5.110 c=3.836 alpha=90.00 beta=90.00 gamma=90.00
Element x y z (fractional)
1 Ca 0.000 0.500 0.000
2 Ca 0.500 0.000 0.000
3 Cd 0.000 0.000 0.500
4 Ru 0.500 0.500 0.500
5 N 0.500 0.500 0.000

Main lines, sorted by position (2θ from 10° to 90°):
2θ (°)	intensity
23.19	11
24.64	30
34.09	100
35.13	55
42.51	10
47.39	11
50.52	18
60.34	21
62.36	33
71.78	12

---

# 5
Calculated X-ray diffraction stick pattern of Tm2MnAl3 for Cu Kα X-rays, from a GGA-PBE-relaxed structure.
Peak positions follow from Bragg's law for the DFT cell and can differ from measured ones.

Structural model:
Unit cell a=5.404 b=5.404 c=5.404 alpha=61.39 beta=61.39 gamma=61.39
Element x y z (fractional)
1 Tm 0.126 0.126 0.126
2 Tm 0.874 0.874 0.874
3 Mn 0.500 0.500 0.500
4 Al 0.000 0.500 0.500
5 Al 0.500 0.000 0.500
6 Al 0.500 0.500 0.000

Main lines, sorted by position (2θ from 10° to 90°):
2θ (°)	intensity
19.78	56
20.34	37
32.46	100
33.17	66
38.30	32
38.61	100
39.22	43
58.36	27
62.03	25
62.47	21

---

# 6
Calculated X-ray diffraction stick pattern of Sm2Mg5Ga4 for Cu Kα X-rays, from a GGA-PBE-relaxed structure.
Peak positions follow from Bragg's law for the DFT cell and can differ from measured ones.

Structural model:
Unit cell a=9.379 b=8.069 c=6.418 alpha=79.81 beta=57.86 gamma=42.34
Element x y z (fractional)
1 Sm 0.145 0.145 0.855
2 Sm 0.855 0.855 0.145
3 Mg 0.000 0.000 0.500
4 Mg 0.250 0.250 0.250
5 Mg 0.500 0.500 0.000
6 Mg 0.500 0.500 0.500
7 Mg 0.750 0.750 0.750
8 Ga 0.237 0.463 0.537
9 Ga 0.463 0.237 0.763
10 Ga 0.537 0.763 0.237
11 Ga 0.763 0.537 0.463